Retype all of the lines further down verbatim, please.
+++
Here is a relaxed BaHfMo crystal from Materials Project. Energies are from PBE.

Cell and atoms, written as POSCAR:
```
BaHfMo
1.0
0.0000 3.4492 3.4492
3.4492 0.0000 3.4492
3.4492 3.4492 0.0000
Ba Hf Mo
1 1 1
Direct
0.7500 0.7500 0.7500
0.2500 0.2500 0.2500
0.5000 0.5000 0.5000
```

Results
Its formation enthalpy at 0 K is 3.6 eV/f.u. Its space group is F-43m.
+++
Here is a relaxed BaHfMo crystal from Materials Project. Energies are from PBE.

Cell and atoms, written as POSCAR:
```
BaHfMo
1.0
0.0000 3.4492 3.4492
3.4492 0.0000 3.4492
3.4492 3.4492 0.0000
Ba Hf Mo
1 1 1
Direct
0.7500 0.7500 0.7500
0.2500 0.2500 0.2500
0.5000 0.5000 0.5000
```

Results
Its formation enthalpy at 0 K is 3.6 eV/f.u. Its space group is F-43m.